Scratch Intermediate Skills

Objectives and Overview

The aim of this lesson is to introduce the next level of skills. Make sure that you have a solid understanding of the skills introduced in the Scratch Basic Skills section. These skills are more complicated and build upon some of the previous skills. Remember, the purpose of Scratch is to become familiar with programming concepts. It’s highly recommended to make sure you understand the contents of these lessons.

Lesson Objectives

  • Identify intermediate skills in Scratch
  • Practice using the following intermediate skills in Scratch: variables, broadcasts & listeners, and collisions
  • Be able to explain what a variable, broadcast and listener, and collision are

### The page is interrupted by records of crystals
- - -
Structure and theoretical powder diffractogram of HfPaN (a crystal structure in Alexandria, relaxed with GGA-PBE; λ = 1.5418 Å (Cu Kα)).
No peak broadening, texture or thermal motion is included.

Crystal structure
abc: 3.2339 3.2339 11.4324
angles: 90.00 90.00 120.00
Fractional coordinates of all 6 atoms:
Hf 0.0000 0.0000 0.2504
Hf 0.0000 0.0000 0.7496
Pa 0.6667 0.3333 0.0000
Pa 0.6667 0.3333 0.5000
N 0.3333 0.6667 0.1436
N 0.3333 0.6667 0.8564

Principal peaks in the range 2θ = 10–90°, by intensity:
2.515 Å, 2θ 35.70, intensity 100.0, (1 0 2)
2.858 Å, 2θ 31.30, intensity 29.2, (0 0 4)
1.575 Å, 2θ 58.60, intensity 24.5, (1 0 6)
1.407 Å, 2θ 66.43, intensity 21.5, (1 1 4)
2.801 Å, 2θ 31.96, intensity 20.2, (1 0 0)
2.000 Å, 2θ 45.34, intensity 19.9, (1 0 4)
1.617 Å, 2θ 56.95, intensity 18.6, (1 1 0)
1.360 Å, 2θ 69.06, intensity 15.1, (2 0 2)
1.128 Å, 2θ 86.19, intensity 8.6, (2 0 6)
1.257 Å, 2θ 75.62, intensity 4.4, (2 0 4)
1.273 Å, 2θ 74.55, intensity 4.0, (1 0 8)
1.429 Å, 2θ 65.29, intensity 4.0, (0 0 8)

* * * * *

For P2Pb3O8, the GGA-PBE geometry in the Materials Project gives the calculated powder diffraction line list in this record (a wavelength of 1.5418 Å).
Peak positions follow from Bragg's law for the DFT cell and can differ from measured ones.

Principal peaks in the range 10 to 80 degrees two-theta, sorted by position:
- hkl 0 2 0, 2θ 19.97, d = 4.447 Å, rel. 46.9
- hkl 2 0 -2, 2θ 21.58, d = 4.118 Å, rel. 66.9
- hkl 0 2 1, 2θ 22.69, d = 3.919 Å, rel. 21.7
- hkl 2 2 -1, 2θ 25.90, d = 3.440 Å, rel. 77.1
- hkl 3 1 0, 2θ 27.93, d = 3.194 Å, rel. 92.7
- hkl 1 1 2, 2θ 28.06, d = 3.180 Å, rel. 100.0
- hkl 2 2 -2, 2θ 29.56, d = 3.022 Å, rel. 60.5
- hkl 1 3 1, 2θ 34.40, d = 2.607 Å, rel. 22.1
- hkl 5 1 -2, 2θ 41.89, d = 2.156 Å, rel. 23.1
- hkl 1 1 -4, 2θ 42.13, d = 2.145 Å, rel. 48.3
- hkl 1 3 -3, 2θ 43.03, d = 2.102 Å, rel. 23.6
- hkl 4 0 -4, 2θ 43.99, d = 2.058 Å, rel. 30.1

Atomic structure:
a b c (Å): 11.179 8.894 9.026
angles (deg): 90.00 113.30 90.00
Space group C2/c (No. 15)
Unique sites:
P 0.212 0.203 0.199
Pb 0.000 0.087 0.750
Pb 0.150 0.454 0.440
O 0.136 0.300 0.738
O 0.155 0.361 0.143
O 0.158 0.083 0.061
O 0.172 0.157 0.341
- - -

Intermediate Skills

The Game Development Mini-Project requires you to include each of these skills in addition to the ones covered in the Scratch Basic Skills lesson. Make sure to become familiar with each of these areas and the associated code blocks!


Variables are like containers/placeholders for values. Variables are a foundational programming concept that enables the creation of advanced scripts. Scratch is great for learning to create and manipulate variables.

You’ve likely encountered variables before. Here are some examples:

x = 5 name = "Sarah" gameLoading = true
Code language: JavaScript (javascript)

Variables are found in the Variables category in Scratch. Clicking on Variables brings up the variables blocks:

Scratch interface with the Variables category selected

Next, click on the Make a Variable button to create your variable.

Annotation of Scratch interface showing the Make a Variable button

After clicking that button, you’ll need to name your variable. For now, leave the For all sprites option clicked. This creates a global variable that you can use anywhere in your project. The alternative is a local variable. The difference between these options is outside of the scope of this course.

Modal window for naming a new variable in Scratch

Your variable is now available for use! This image shows a variable named “health” that can now be used in other scripts. This name matches what you provide in the previous step.

Here’s an example of using variables in a script:

Scripts showing how to use a variable in Scratch

Broadcasts and Listeners

Broadcasts send messages across all sprites and backdrops in your project. This is an effective way to communicate across sprites and create sequences of events. The broadcast is an Event block that pairs with a Listener block. The sprite sending the message can be completely independent of the sprite receiving the message.

Broadcasting is useful if a script needs to be activated after the start of the program without a user prompt such as a keypress or mouse click.

Listeners listen for messages sent from broadcasts. Broadcasts need to be paired with one or more Listeners. As soon as the listener receives the message from the broadcast, the connected script runs.

Multiple sprites can have the same Listener and independently trigger scripts. This is an effective way to trigger multiple actions across several sprites.

Let’s take a look at example scripts. This first script is the broadcast:

Sprite with a broadcaster script with comments

This script is the listener:

Sprite with a listener script with comments

When the space key is pressed, the broadcast sends the message “vanish!” across the project. The listener then reacts to this message, triggering an action.

Collision Detection

Collisions are an intersection of two or more objects. Collision detection is the name for the game mechanic that detects intersecting objects. This is often a part of a game’s physics engine.

Collision detection must be contained inside a forever loop. The loop always runs and asks “is this sprite touching ___?” There are several sensor options for collision detection. Two of the most common are color collisions and sprite collisions.

Color Collisions

Color collisions are collisions detected using color. Each sprite can be scripted to trigger an event if it’s touching a certain color. Here’s an example script:

Scratch script for color collision detection with comments

The collision detection is created by using a conditional statement combined with the “touching color [ ]” which is Boolean (true or false) value.

This script returns a true or false value. It returns true if the sprite is touching the color, and false if not. If it returns true then a collision is detected and the script is triggered.

Sprite Collisions

Sprite collisions are collisions detected using a sprite. Each sprite can be scripted to trigger an event if it’s touching another sprite. Here’s an example script:

Scratch script for sprite collision detection with comments

The collision detection is created by using a conditional statement combined with the “touching sprite [ ]” which is Boolean (true or false) value. Select the name of the sprite you want to detect from the dropdown menu. In the above example, the sprite is named “Crystal.”

This script returns a true or false value. It returns true if the sprite is touching the selected sprite, and false if not. If it returns true then a collision is detected and the script is triggered.

Create some examples yourself. If you want to see the Scratch demo project where the examples are from, click this link: Example: Beginner Collisions.

Additional Resources

If you need more detailed help with each of these sections visit Rhea’s Scratch Demos to see example scripts.